Activity
Could you work out how many lines below have the word "this" in them; a number is enough?

Data
<<<
For KTiIn, the GGA-PBE geometry in Alexandria gives the calculated powder XRD pattern in this record (λ = 1.5418 Å (Cu Kα)).

Atomic structure:
```
data_KTiIn
_chemical_formula_sum 'K2 Ti2 In2'
_symmetry_space_group_name_H-M 'P 1'
_symmetry_Int_Tables_number 1
_cell_length_a 4.5952
_cell_length_b 4.6041
_cell_length_c 11.9971
_cell_angle_alpha 79.35
_cell_angle_beta 79.31
_cell_angle_gamma 60.07
loop_
_symmetry_equiv_pos_as_xyz
'x,y,z'
loop_
_atom_site_label
_atom_site_type_symbol
_atom_site_fract_x
_atom_site_fract_y
_atom_site_fract_z
_atom_site_occupancy
K1 K 0.0000 0.0000 0.0000 1
K2 K 0.2117 0.2096 0.3444 1
Ti1 Ti 0.1242 0.0693 0.6722 1
Ti2 Ti 0.4241 0.4679 0.6722 1
In1 In 0.7335 0.7299 0.7962 1
In2 In 0.8140 0.8092 0.5480 1
```

Top 8 peaks for 10 to 90 degrees two-theta, sorted by position:
hkl	Position (°2θ)	d/Å	intensity
0 1 0	22.5	3.960	63.6
0 1 1	22.9	3.885	38.3
1 0 3	30.3	2.947	31.5
1 0 -3	33.9	2.642	48.8
1 1 4	34.1	2.626	26.1
1 0 4	36.1	2.489	40.2
2 1 1	39.2	2.301	100.0
2 1 0	39.9	2.259	38.9

***

For KTl2In7, the GGA-PBE geometry in Alexandria gives the calculated powder XRD pattern in this record (λ = 1.5418 Å (Cu Kα)).

Atomic structure:
```
data_KTl2In7
_chemical_formula_sum 'K2 Tl4 In14'
_symmetry_space_group_name_H-M 'C m m m'
_symmetry_Int_Tables_number 65
_symmetry_space_group_name_Hall '-C 2 2'
_cell_length_a 7.0233
_cell_length_b 21.2539
_cell_length_c 4.4678
_cell_angle_alpha 90.00
_cell_angle_beta 90.00
_cell_angle_gamma 90.00
loop_
_atom_site_label
_atom_site_type_symbol
_atom_site_fract_x
_atom_site_fract_y
_atom_site_fract_z
_atom_site_occupancy
K1 K 0.0000 0.0000 0.0000 1
Tl1 Tl 0.0000 0.2605 0.5000 1
In1 In 0.0000 0.3961 0.0000 1
In2 In 0.0000 0.5000 0.5000 1
In3 In 0.2129 0.1224 0.5000 1
```

Top 8 peaks for 10 to 90 degrees two-theta, sorted by position:
hkl	Position (°2θ)	d/Å	intensity
1 1 0	13.3	6.669	21.8
0 0 1	19.9	4.468	50.0
0 2 1	21.6	4.119	21.9
2 4 0	30.5	2.930	40.2
1 5 1	31.7	2.820	45.8
0 8 0	33.7	2.657	31.4
2 4 1	36.7	2.450	100.0
0 0 2	40.4	2.235	31.9

***

For K2Tl4In3, the GGA-PBE geometry in Alexandria gives the calculated powder XRD pattern in this record (λ = 1.5418 Å (Cu Kα)).

Atomic structure:
```
data_K2Tl4In3
_chemical_formula_sum 'K8 Tl16 In12'
_symmetry_space_group_name_H-M 'C m c e'
_symmetry_Int_Tables_number 64
_symmetry_space_group_name_Hall '-C 2ac 2'
_cell_length_a 6.7628
_cell_length_b 18.3842
_cell_length_c 9.5616
_cell_angle_alpha 90.00
_cell_angle_beta 90.00
_cell_angle_gamma 90.00
loop_
_atom_site_label
_atom_site_type_symbol
_atom_site_fract_x
_atom_site_fract_y
_atom_site_fract_z
_atom_site_occupancy
K1 K 0.0000 0.1085 0.0947 1
Tl1 Tl 0.0000 0.1801 0.4799 1
Tl2 Tl 0.2500 0.0582 0.7500 1
In1 In 0.0000 0.0000 0.5000 1
In2 In 0.2500 0.2245 0.7500 1
```

Top 8 peaks for 10 to 90 degrees two-theta, sorted by position:
hkl	Position (°2θ)	d/Å	intensity
0 2 1	13.4	6.627	38.2
1 1 1	16.8	5.288	38.3
1 5 1	29.2	3.060	49.3
0 2 3	29.7	3.012	59.6
2 0 2	32.4	2.761	100.0
0 6 2	34.8	2.580	39.4
2 6 0	39.7	2.270	40.0
0 6 3	40.9	2.209	30.8

***

For KTlIn4, the GGA-PBE geometry in Alexandria gives the calculated powder XRD pattern in this record (λ = 1.5418 Å (Cu Kα)).

Atomic structure:
```
data_KTlIn4
_chemical_formula_sum 'K1 Tl1 In4'
_symmetry_space_group_name_H-M 'P 6/m m m'
_symmetry_Int_Tables_number 191
_symmetry_space_group_name_Hall '-P 6 2'
_cell_length_a 5.2460
_cell_length_b 5.2460
_cell_length_c 7.9264
_cell_angle_alpha 90.00
_cell_angle_beta 90.00
_cell_angle_gamma 120.00
loop_
_atom_site_label
_atom_site_type_symbol
_atom_site_fract_x
_atom_site_fract_y
_atom_site_fract_z
_atom_site_occupancy
K1 K 0.0000 0.0000 0.0000 1
Tl1 Tl 0.0000 0.0000 0.5000 1
In1 In 0.3333 0.6667 0.2839 1
```

Top 8 peaks for 10 to 90 degrees two-theta, sorted by position:
hkl	Position (°2θ)	d/Å	intensity
0 0 1	11.2	7.926	50.7
1 0 2	29.9	2.987	100.0
1 1 0	34.2	2.623	85.8
1 1 1	36.1	2.490	19.7
1 0 3	39.5	2.284	20.7
2 0 2	46.1	1.971	30.1
1 1 4	58.4	1.581	21.4
2 1 2	58.6	1.576	29.0

***
>>>

Written answer
4